== Source ==
No. 1
Here is C14H43AlNO5 as an isolated structure from OMol25. Energies are from ωB97M-V/def2-TZVPD.

Structure (XYZ):
```
64
Properties=species:S:1:pos:R:3:forces:R:3:nbo_charge:R:1
Al -2.536 0.896 0.557 -0.2 0.0 -0.1 1.0176
O 4.402 -1.305 3.073 0.0 0.0 0.1 -0.7173
O -6.051 -0.990 -1.185 -0.1 0.1 -0.1 -0.7141
O 5.018 -3.614 0.208 -0.1 0.0 0.1 -0.7365
O -0.671 -4.033 0.369 0.1 0.0 0.1 -0.7349
O -2.986 4.760 -0.768 -0.1 0.0 -0.3 -0.7358
N -1.549 1.895 -0.718 -0.1 0.0 0.3 -1.1418
C -6.169 0.034 -3.391 0.0 0.0 0.0 -0.6317
C 5.624 -0.582 3.128 0.0 0.0 0.0 -0.0571
C -3.071 5.348 -3.134 0.0 0.0 0.0 -0.6337
C -5.487 0.009 -2.032 0.0 -0.1 0.0 -0.0682
C -0.618 2.890 -0.215 0.2 -0.1 -0.2 -0.2116
C 2.528 0.686 0.567 -0.1 0.1 0.0 -0.5989
C 3.681 -3.152 -0.026 0.0 0.0 0.0 -0.0697
C -2.466 5.611 -1.765 0.0 -0.1 0.1 -0.0533
C 0.671 2.397 0.479 -0.2 -0.1 0.1 -0.4135
C -0.657 -3.817 2.802 0.0 0.0 -0.1 -0.6328
C -0.727 -3.108 1.462 0.0 -0.1 0.0 -0.0752
C 1.172 1.054 -0.013 0.1 0.1 0.0 -0.3970
C 6.449 -0.771 1.871 0.0 0.0 -0.1 -0.6374
C 2.694 -4.289 -0.200 0.1 0.0 0.0 -0.6423
H 0.252 -4.417 2.875 0.0 0.0 0.0 0.1973
H -0.314 3.561 -1.027 0.1 0.1 -0.1 0.1425
H -1.102 1.330 -1.428 0.0 0.0 -0.1 0.3493
H 3.427 -2.543 0.840 0.0 0.0 0.0 0.1899
H -4.156 5.460 -3.095 0.0 0.0 0.0 0.2037
H 2.967 -4.903 -1.063 0.0 0.0 0.0 0.1862
H -0.669 -3.096 3.620 0.0 0.0 0.0 0.2177
H 4.611 -2.236 2.949 0.0 0.0 -0.1 0.4626
H -2.673 6.038 -3.883 0.0 0.0 0.0 0.1923
H 6.203 -0.875 4.012 0.0 0.0 0.0 0.1456
H 6.714 -1.822 1.745 0.0 0.0 0.0 0.2089
H -5.883 -1.843 -1.593 0.1 -0.1 0.0 0.4498
H 5.337 0.462 3.250 0.0 0.0 0.0 0.1766
H 0.491 2.333 1.552 0.0 -0.1 0.2 0.2041
H 1.229 1.061 -1.103 0.0 0.0 -0.2 0.1769
H 1.681 -3.917 -0.353 0.0 0.0 0.0 0.2505
H -1.373 5.516 -1.817 0.0 0.0 0.0 0.1484
H -2.765 3.840 -1.003 0.0 -0.1 0.2 0.5019
H 5.276 -4.147 -0.549 0.0 -0.1 0.0 0.4572
H -1.914 1.137 2.045 0.1 0.1 0.0 -0.4273
H -4.097 1.357 0.493 0.0 0.0 0.1 -0.4238
H -1.444 -4.599 0.431 -0.1 0.0 -0.1 0.4574
H -1.513 -4.486 2.929 0.0 0.0 0.0 0.1888
H -1.165 3.504 0.494 0.0 0.2 0.1 0.1982
H 0.451 0.288 0.263 -0.2 -0.1 -0.1 0.2190
H -1.621 -2.487 1.388 0.0 0.1 0.0 0.2070
H -7.240 0.210 -3.277 0.0 0.0 0.0 0.2008
H -5.619 0.953 -1.511 0.0 0.0 0.1 0.2009
H 3.664 -2.498 -0.904 0.0 0.0 0.0 0.1566
H 5.875 -0.471 0.994 0.0 0.0 0.0 0.2186
H 3.259 1.476 0.395 0.1 0.1 -0.1 0.1842
H 2.907 -0.230 0.122 0.1 -0.2 0.0 0.1923
H -2.415 -0.699 0.199 0.0 0.0 -0.1 -0.4428
H -2.693 6.629 -1.441 0.0 0.0 0.0 0.1576
H 2.457 0.539 1.642 0.0 -0.1 0.2 0.2091
H -5.751 0.820 -4.023 0.0 0.0 0.0 0.2063
H -4.410 -0.148 -2.141 0.0 0.0 0.0 0.1726
H 0.131 -2.449 1.335 0.0 0.0 0.0 0.1750
H 7.370 -0.184 1.907 0.0 0.0 0.0 0.2016
H 1.461 3.139 0.344 0.1 0.2 0.0 0.1747
H -6.039 -0.920 -3.911 0.0 0.0 0.0 0.1847
H -2.850 4.329 -3.455 0.0 0.0 0.0 0.2077
H 2.693 -4.931 0.681 0.0 0.0 0.0 0.2047
```
Forces are in eV/Å.

As for the charge: -1. For the largest force on an atom, the calculation gives 0.00698 Eh/bohr. The value obtained for the HOMO energy is -4.2790 eV.

***

No. 2
Here is a 7-piece molecular cluster, C14H44N4O11 overall at a distorted geometry from OMol25. Energies are from ωB97M-V/def2-TZVPD.

Structure (XYZ):
```
73
Properties=species:S:1:pos:R:3:forces:R:3:lowdin_charge:R:1
O -1.127 -0.509 -3.318 0.0 0.1 -0.5 -0.0943
O -0.790 4.671 -4.343 -0.1 0.6 0.1 -0.0710
O -0.550 -5.540 2.256 -0.3 0.4 0.0 -0.1777
O 1.444 0.369 0.633 -0.7 -0.1 -0.7 -0.1007
O -4.388 2.565 1.657 0.8 -0.3 -0.8 -0.1921
O 3.142 -0.188 2.555 -0.6 0.3 -0.7 -0.1071
O 0.052 2.001 0.271 0.3 -1.5 0.3 0.0132
O 6.265 1.616 2.862 -0.5 -0.3 0.0 -0.0813
O -1.162 0.209 -6.195 0.7 -0.4 0.6 -0.0616
O -0.328 0.073 -0.631 0.6 -0.2 0.8 -0.0181
O -0.409 4.313 -1.230 0.0 -0.2 -0.2 -0.0767
N 3.207 -1.385 -0.615 0.2 1.2 0.0 0.2727
N -3.557 0.537 -0.447 -0.1 0.4 0.1 0.0565
N 0.361 0.803 0.101 0.0 1.6 -0.5 -0.4842
N 0.921 -2.982 -0.027 -0.4 -0.4 -0.3 0.0269
C -4.144 0.275 0.882 1.4 -0.1 -0.7 -0.4247
C -3.730 1.314 1.903 -0.8 0.5 0.4 -0.2157
== Wanted ==
Your job: quote the calculation results further above unchanged.
== Reply ==
No. 1
Here is C14H43AlNO5 as an isolated structure from OMol25. Energies are from ωB97M-V/def2-TZVPD.

Structure (XYZ):
```
64
Properties=species:S:1:pos:R:3:forces:R:3:nbo_charge:R:1
Al -2.536 0.896 0.557 -0.2 0.0 -0.1 1.0176
O 4.402 -1.305 3.073 0.0 0.0 0.1 -0.7173
O -6.051 -0.990 -1.185 -0.1 0.1 -0.1 -0.7141
O 5.018 -3.614 0.208 -0.1 0.0 0.1 -0.7365
O -0.671 -4.033 0.369 0.1 0.0 0.1 -0.7349
O -2.986 4.760 -0.768 -0.1 0.0 -0.3 -0.7358
N -1.549 1.895 -0.718 -0.1 0.0 0.3 -1.1418
C -6.169 0.034 -3.391 0.0 0.0 0.0 -0.6317
C 5.624 -0.582 3.128 0.0 0.0 0.0 -0.0571
C -3.071 5.348 -3.134 0.0 0.0 0.0 -0.6337
C -5.487 0.009 -2.032 0.0 -0.1 0.0 -0.0682
C -0.618 2.890 -0.215 0.2 -0.1 -0.2 -0.2116
C 2.528 0.686 0.567 -0.1 0.1 0.0 -0.5989
C 3.681 -3.152 -0.026 0.0 0.0 0.0 -0.0697
C -2.466 5.611 -1.765 0.0 -0.1 0.1 -0.0533
C 0.671 2.397 0.479 -0.2 -0.1 0.1 -0.4135
C -0.657 -3.817 2.802 0.0 0.0 -0.1 -0.6328
C -0.727 -3.108 1.462 0.0 -0.1 0.0 -0.0752
C 1.172 1.054 -0.013 0.1 0.1 0.0 -0.3970
C 6.449 -0.771 1.871 0.0 0.0 -0.1 -0.6374
C 2.694 -4.289 -0.200 0.1 0.0 0.0 -0.6423
H 0.252 -4.417 2.875 0.0 0.0 0.0 0.1973
H -0.314 3.561 -1.027 0.1 0.1 -0.1 0.1425
H -1.102 1.330 -1.428 0.0 0.0 -0.1 0.3493
H 3.427 -2.543 0.840 0.0 0.0 0.0 0.1899
H -4.156 5.460 -3.095 0.0 0.0 0.0 0.2037
H 2.967 -4.903 -1.063 0.0 0.0 0.0 0.1862
H -0.669 -3.096 3.620 0.0 0.0 0.0 0.2177
H 4.611 -2.236 2.949 0.0 0.0 -0.1 0.4626
H -2.673 6.038 -3.883 0.0 0.0 0.0 0.1923
H 6.203 -0.875 4.012 0.0 0.0 0.0 0.1456
H 6.714 -1.822 1.745 0.0 0.0 0.0 0.2089
H -5.883 -1.843 -1.593 0.1 -0.1 0.0 0.4498
H 5.337 0.462 3.250 0.0 0.0 0.0 0.1766
H 0.491 2.333 1.552 0.0 -0.1 0.2 0.2041
H 1.229 1.061 -1.103 0.0 0.0 -0.2 0.1769
H 1.681 -3.917 -0.353 0.0 0.0 0.0 0.2505
H -1.373 5.516 -1.817 0.0 0.0 0.0 0.1484
H -2.765 3.840 -1.003 0.0 -0.1 0.2 0.5019
H 5.276 -4.147 -0.549 0.0 -0.1 0.0 0.4572
H -1.914 1.137 2.045 0.1 0.1 0.0 -0.4273
H -4.097 1.357 0.493 0.0 0.0 0.1 -0.4238
H -1.444 -4.599 0.431 -0.1 0.0 -0.1 0.4574
H -1.513 -4.486 2.929 0.0 0.0 0.0 0.1888
H -1.165 3.504 0.494 0.0 0.2 0.1 0.1982
H 0.451 0.288 0.263 -0.2 -0.1 -0.1 0.2190
H -1.621 -2.487 1.388 0.0 0.1 0.0 0.2070
H -7.240 0.210 -3.277 0.0 0.0 0.0 0.2008
H -5.619 0.953 -1.511 0.0 0.0 0.1 0.2009
H 3.664 -2.498 -0.904 0.0 0.0 0.0 0.1566
H 5.875 -0.471 0.994 0.0 0.0 0.0 0.2186
H 3.259 1.476 0.395 0.1 0.1 -0.1 0.1842
H 2.907 -0.230 0.122 0.1 -0.2 0.0 0.1923
H -2.415 -0.699 0.199 0.0 0.0 -0.1 -0.4428
H -2.693 6.629 -1.441 0.0 0.0 0.0 0.1576
H 2.457 0.539 1.642 0.0 -0.1 0.2 0.2091
H -5.751 0.820 -4.023 0.0 0.0 0.0 0.2063
H -4.410 -0.148 -2.141 0.0 0.0 0.0 0.1726
H 0.131 -2.449 1.335 0.0 0.0 0.0 0.1750
H 7.370 -0.184 1.907 0.0 0.0 0.0 0.2016
H 1.461 3.139 0.344 0.1 0.2 0.0 0.1747
H -6.039 -0.920 -3.911 0.0 0.0 0.0 0.1847
H -2.850 4.329 -3.455 0.0 0.0 0.0 0.2077
H 2.693 -4.931 0.681 0.0 0.0 0.0 0.2047
```
Forces are in eV/Å.

As for the charge: -1. For the largest force on an atom, the calculation gives 0.00698 Eh/bohr. The value obtained for the HOMO energy is -4.2790 eV.

***

No. 2
Here is a 7-piece molecular cluster, C14H44N4O11 overall at a distorted geometry from OMol25. Energies are from ωB97M-V/def2-TZVPD.

Structure (XYZ):
```
73
Properties=species:S:1:pos:R:3:forces:R:3:lowdin_charge:R:1
O -1.127 -0.509 -3.318 0.0 0.1 -0.5 -0.0943
O -0.790 4.671 -4.343 -0.1 0.6 0.1 -0.0710
O -0.550 -5.540 2.256 -0.3 0.4 0.0 -0.1777
O 1.444 0.369 0.633 -0.7 -0.1 -0.7 -0.1007
O -4.388 2.565 1.657 0.8 -0.3 -0.8 -0.1921
O 3.142 -0.188 2.555 -0.6 0.3 -0.7 -0.1071
O 0.052 2.001 0.271 0.3 -1.5 0.3 0.0132
O 6.265 1.616 2.862 -0.5 -0.3 0.0 -0.0813
O -1.162 0.209 -6.195 0.7 -0.4 0.6 -0.0616
O -0.328 0.073 -0.631 0.6 -0.2 0.8 -0.0181
O -0.409 4.313 -1.230 0.0 -0.2 -0.2 -0.0767
N 3.207 -1.385 -0.615 0.2 1.2 0.0 0.2727
N -3.557 0.537 -0.447 -0.1 0.4 0.1 0.0565
N 0.361 0.803 0.101 0.0 1.6 -0.5 -0.4842
N 0.921 -2.982 -0.027 -0.4 -0.4 -0.3 0.0269
C -4.144 0.275 0.882 1.4 -0.1 -0.7 -0.4247
C -3.730 1.314 1.903 -0.8 0.5 0.4 -0.2157